• Request:
Duplicate every line below that contains the word "cluster", please.
• File:
A 4-piece molecular cluster, C2H12NO3 overall at a distorted geometry. Source: OMol25; level of theory: the ωB97M-V functional and the def2-TZVPD basis.

Last column: Löwdin charge in e.
Atoms and positions in Å:
O 1.12124 0.63958 1.01722  -0.0514
O 3.68101 0.51797 -0.08632  -0.0446
O -2.19821 1.70608 -1.90638  -0.0405
N -1.42309 -0.08420 0.19929  0.1650
C -1.23244 -1.56276 0.09353  -0.1213
C -0.49103 -2.16746 0.99559  0.0662
H 4.48159 -0.00547 -0.22192  0.0682
H -0.29215 -1.77276 1.98036  0.0833
H -0.55400 0.36154 0.56757  0.0988
H 2.00467 0.36411 0.71327  0.0250
H 3.77578 1.23260 -0.73256  0.0684
H -2.75419 2.48493 -1.79982  0.0687
H -1.56580 0.37642 -0.71389  0.1044
H -2.20729 0.19551 0.78138  0.1659
H 1.22605 1.04091 1.88531  0.0740
H -1.72419 1.79852 -2.74165  0.0696
H -0.25945 -3.20954 0.82930  0.0817
H -1.58852 -1.91598 -0.86028  0.1187

Calculated values
ΔE to the lowest compared entry with this formula, charge and spin (kcal per mole): 13.1
Frontier orbital gap (eV): 11.88
Highest occupied orbital energy (eV): -14.666
Charge: +1
Multiplicity: 1
Maximum force (eV/Å): 1.5
• Written answer:
A 4-piece molecular cluster, C2H12NO3 overall at a distorted geometry. Source: OMol25; level of theory: the ωB97M-V functional and the def2-TZVPD basis.